Week 14: Future Artifacts

May 2nd — 8th

This week, our team began generating final artifacts. The previous weeks of this semester have been spent in deep critical inquiry into Portland Public Schools and the US education system generally. We’ve pulled at countless threads and gathered insights from dozens of educators, synthesizing concepts for intervention at every phase of our research. In this final phase, we used futuring frameworks to define our key points and to speculate on related developments that might aid in the unfolding of a future where ARC Services could be situated.


We received guidance from our professors and TA (Peter and Stef) for how we might capture key elements of our systems-level concept and represent them through various mediums. Our team has elected to produce a newscast from the year 2029, as this emphasizes a tipping point for Portland Public Schools toward a desirable future.

“Voros Cone” used for mapping and categorizing potential futures

We began working on a basic prototype video this past weekend and will continue refining and iterating toward a final production. We are combining a variety of digital tools to accomplish this task:

**Crystal structures from another source follow:**
/*
1.
Below is Dy2CuNi after structural relaxation, with properties calculated at the PBE level.

Values from the calculation:
formation enthalpy at 0 K = 0.2778 eV/atom
crystal system = trigonal

a = 3.8461 Å, b = 3.8461 Å, c = 25.6512 Å
α = 90.00°, β = 90.00°, γ = 120.00°
Space group R-3m (No. 166, hexagonal axes)
Unique sites:
Dy1 0.0000 0.0000 0.1092 x6
Cu1 0.0000 0.0000 0.0000 x3
Ni1 0.0000 0.0000 0.5000 x3

=====

2.
Below is TlSiRh after structural relaxation, with properties calculated at the PBE level.

Values from the calculation:
relative energy among the computed polymorphs = 108 meV/atom
ΔE_f (raw) = 0.082 eV/f.u.
crystal system = hexagonal

a = 4.0655 Å, b = 4.0655 Å, c = 4.0991 Å
α = 90.00°, β = 90.00°, γ = 120.00°
Space group P-6m2 (No. 187)
Unique sites:
Tl1 0.0000 0.0000 0.0000 x1
Si1 0.3333 0.6667 0.5000 x1
Rh1 0.6667 0.3333 0.5000 x1

=====

3.
Below is Cu2I6Cl after structural relaxation, with properties calculated at the PBE level.

Values from the calculation:
relative energy among the computed polymorphs = 3 meV/atom
ΔE_f (raw) = -0.581 eV/f.u.
crystal system = monoclinic

a = 12.013 Å, b = 15.400 Å, c = 8.451 Å
α = 90.00°, β = 92.09°, γ = 90.00°
Space group C2/c (No. 15)
Unique sites:
Cu1 0.085 0.202 0.162 x8
I1 0.087 0.368 0.115 x8
I2 0.102 0.138 0.464 x8
I3 0.237 0.384 0.829 x8
Cl1 0.000 0.134 0.750 x4

=====

4.
Below is Rb2TiSnO4 after structural relaxation, with properties calculated at the PBE level.

Values from the calculation:
ΔE_f (raw) = -16.750 eV/f.u.
crystal system = orthorhombic

a = 6.096 Å, b = 8.046 Å, c = 6.603 Å
α = 90.00°, β = 90.00°, γ = 90.00°
Space group Pmmn (No. 59, origin choice 2)
Unique sites:
Rb1 0.250 0.013 0.223 x4
Ti1 0.250 0.750 0.639 x2
Sn1 0.250 0.250 0.740 x2
O1 0.001 0.250 0.525 x4
O2 0.250 0.561 0.787 x4

=====

5.
Below is ReBI2N after structural relaxation, with properties calculated at the PBE level.

Values from the calculation:
relative energy among the computed polymorphs = 0 meV/atom
ΔE_f (raw) = 5.277 eV/f.u.
crystal system = tetragonal

a = 6.443 Å, b = 6.443 Å, c = 2.759 Å
α = 90.00°, β = 90.00°, γ = 90.00°
Space group P4/mmm (No. 123)
Unique sites:
Re1 0.000 0.000 0.000 x1
B1 0.500 0.500 0.500 x1
I1 0.000 0.500 0.500 x2
N1 0.500 0.500 0.000 x1

=====

6.
Below is LiPaCdO4 after structural relaxation, with properties calculated at the PBE level.

Values from the calculation:
ΔE_f (raw) = -17.193 eV/f.u.
crystal system = orthorhombic

a = 6.418 Å, b = 7.101 Å, c = 9.310 Å
α = 90.00°, β = 90.00°, γ = 90.00°
Space group Imma (No. 74)
Unique sites:
Li1 0.000 0.250 0.140 x4
Pa1 0.000 0.000 0.500 x4
Cd1 0.250 0.250 0.750 x4
O1 0.000 0.012 0.727 x8
O2 0.216 0.250 0.492 x8

=====

7.
Below is NdCd6Au6 after structural relaxation, with properties calculated at the PBE level.

Values from the calculation:
formation enthalpy at 0 K = -0.2468 eV/atom
crystal system = hexagonal

a = 5.8236 Å, b = 5.8236 Å, c = 9.4697 Å
α = 90.00°, β = 90.00°, γ = 120.00°
Space group P6/mmm (No. 191)
*/

  • Figma

== Between two parts of the page: records of crystals ==
- - -
(1)
Li2YAu: PBEsol geometry, SCAN. Values from VASP.

Properties
polymorph energy (0 for the lowest one): 14.1 meV per atom
crystal system: monoclinic
energy of formation: -0.4936 eV/atom

```
&SYSTEM
  ibrav = 0, nat = 4, ntyp = 3
/
ATOMIC_SPECIES
Au 196.97 Au.upf
Y 88.91 Y.upf
Li 6.94 Li.upf
CELL_PARAMETERS angstrom
-1.9549 -3.1607 0.1417
3.3486 -2.0896 -0.4111
1.5848 1.4156 5.7132
ATOMIC_POSITIONS angstrom
Au 2.7372 -0.1820 4.0666
Y -0.0240 -0.6954 3.3392
Li -0.3435 -0.5893 0.1977
Li 0.4237 -3.2404 0.7679
```

=====

(2)
Li2YAu: PBEsol geometry, SCAN. Values from VASP.

Properties
polymorph energy (0 for the lowest one): 80.0 meV per atom
crystal system: monoclinic
energy of formation: -0.4277 eV/atom

```
&SYSTEM
  ibrav = 0, nat = 4, ntyp = 3
/
ATOMIC_SPECIES
Au 196.97 Au.upf
Y 88.91 Y.upf
Li 6.94 Li.upf
CELL_PARAMETERS angstrom
3.4856 0.0171 0.0000
-0.2638 4.6802 0.0000
0.0000 0.0000 5.0693
ATOMIC_POSITIONS angstrom
Au 1.7428 0.0086 2.5347
Y -0.1319 2.3401 2.5347
Li 1.0510 1.0059 0.0000
Li 2.1707 3.6914 0.0000
```

----------

[1]
# PBE La2MgCoAg, optimized geometry
data_La2MgCoAg
_space_group_name_H-M_alt 'P 4/m m m'
_space_group_IT_number 123
_space_group_name_Hall '-P 4 2'
_cell_length_a 5.142
_cell_length_b 5.142
_cell_length_c 5.175
_cell_angle_alpha 90.00
_cell_angle_beta 90.00
_cell_angle_gamma 90.00
loop_
_atom_site_label
_atom_site_type_symbol
_atom_site_fract_x
_atom_site_fract_y
_atom_site_fract_z
La1 La 0.000 0.500 0.000
Mg1 Mg 0.000 0.000 0.500
Co1 Co 0.500 0.500 0.000
Ag1 Ag 0.500 0.500 0.500
# Energy of formation from the pure elements (meV/atom): -42
# Energy above the lowest structure with this stoichiometry (meV per atom): 95.8
# Calculated volume (Å³/f.u.): 136.8
# Calculated total energy (eV per atom): -4.324

***

[2]
# PBE La2MgCoAg, optimized geometry
data_La2MgCoAg
_space_group_name_H-M_alt 'P 4/m m m'
_space_group_IT_number 123
_space_group_name_Hall '-P 4 2'
_cell_length_a 5.214
_cell_length_b 5.214
_cell_length_c 5.000
_cell_angle_alpha 90.00
_cell_angle_beta 90.00
_cell_angle_gamma 90.00
loop_
_atom_site_label
_atom_site_type_symbol
_atom_site_fract_x
_atom_site_fract_y
_atom_site_fract_z
La1 La 0.000 0.500 0.000
Mg1 Mg 0.000 0.000 0.500
Co1 Co 0.000 0.000 0.000
Ag1 Ag 0.500 0.500 0.500
# Energy of formation from the pure elements (meV/atom): -138
# Energy above the lowest structure with this stoichiometry (meV per atom): 0.0
# Calculated volume (Å³/f.u.): 135.9
# Calculated total energy (eV per atom): -4.419

***

[3]
# PBE La6CoAg2N, optimized geometry
data_La6CoAg2N
_space_group_name_H-M_alt 'P 1 21/c 1'
_space_group_IT_number 14
_cell_length_a 6.982
_cell_length_b 7.614
_cell_length_c 12.525
_cell_angle_alpha 90.00
_cell_angle_beta 122.91
_cell_angle_gamma 90.00
loop_
_space_group_symop_operation_xyz
'x,y,z'
'-x,-y,-z'
'-x,y+1/2,-z+1/2'
'x,-y+1/2,z+1/2'
loop_
_atom_site_label
_atom_site_type_symbol
_atom_site_fract_x
_atom_site_fract_y
_atom_site_fract_z
La1 La 0.132 0.020 0.239
La2 La 0.222 0.708 0.048
- - -

Useful for creating practical wireframes and vector graphics, has been instrumental to developing a logo and website mockup for ARC Services

  • Miro

Useful for rapid ideation and remote collaboration, has been the main platform for capturing ideas for video content, storyboarding, and outline

  • Google Docs

Useful for drafting and writing as a team, has been our primary source for writing a script

  • Adobe After Effects

A powerful motion graphics and general purpose video editor, has been used to create rough drafts and work toward a final video artifact

Screenshot of Figma project
Concept synthesis captured using Miro
Initial prototype using a “Breaking News” template for After Effects

Our team has envisioned a series of interventions that are in part a response to the looming crisis of a national teacher shortage. Several articles have been written about this topic, as COVID-19 has created an unsustainable level of stress for educators and other public sector workers. We see this as a signal, and anticipate a future where state and federal legislation reacts with sweeping reforms, granting PPS a unique opportunity to restructure and allocate additional resources to support and retain educators throughout their careers.

“ARC Services” concept logos for different departments
Mockup Website for ARC Services, set in the year 2029

Bringing these concepts to life through video is an interesting challenge. We have only 10 minutes to present our final work, and this includes time for playing a video. Our current prototype is over 8 minutes long, and we’ll need to cut this down to less than half that time to allow for presenting process and research. This weekend our team is revising the script and cherry-picking the most salient points to produce a final clip.

screen test with new overlays

Next steps:

  • Coordinate final recordings for individual parts
  • Refine use of green screen effects to produce high-fidelity video
  • Update motion graphics and story elements
  • Final slide deck for presentation on this project
  • Review concept video with Peter and Stef
  • Render final video and prepare for presentation



DFT (meta-GGA SCAN) results for a crystal of BaNaRe2C relaxed with PBEsol.

Calculated values
space group	P4/mmm, No. 123
total energy	-180.4	eV per cell
energy of formation from the pure elements	3.133	eV per atom
ρ	8.5	g/cm³

Lattice parameters (Å, degrees): 4.8663 4.8663 4.4842 90.00 90.00 90.00
Atoms (fractional coordinates):
Ba 0.0000 0.0000 0.0000
Na 0.5000 0.5000 0.5000
Re 0.0000 0.5000 0.5000
Re 0.5000 0.0000 0.5000
C 0.5000 0.5000 0.0000

Matt Geiger
Prospect Studio and a vision for the future of K-12

Hi there! I am a Laserdisc spinning, rock climbing, feminist, ex-Mormon, Navy veteran, student, designer, CMU alumnus, and amateur Russian. Hello!